As we previously discussed in six signs of a data breach in progress, many organizations are not aware of an attack until after it has occurred. Whether you have seen an uptick in critical file changes, locked user accounts, or unusual outbound activity, recognizing the problem and addressing the problem can help with additional solutions. 

What Happened

In mid-April, Shadow Brokers Hacking group released information showcasing hacking tools belonging to NSA. Originally thought to be a low-severity issue, it is now being reported to be believed that thousands of Windows systems may be infected with an NSA backdoor. The MS17-010 patch released in March notes the disclosed windows exploits fall into vulnerabilities already patched in Microsoft-supported products. 


Who Is Affected

Of course, this affects the NSA, but how does the affect everyone else?  Though reported scans range from 30,000 to 107,000 computers infected with DoublePulsar,  there are also theories of copycat hackers surfacing. Only time will tell if the numbers are consistent with actual hacks.


Why This Matters

Windows XP is still installed on 6.5 million users according to Avast PC Trends Report for Q1 2017.   This OS support was discontinued 3 years ago, and it was noted in 2014 that 85 percent of firms using XP weren't able to make the deadline. And as the Avast PC Trends report notes, the usage of XP is higher than Windows Vista, which is more secure and reliable.

Why Fix It If It's Not Broken

What comes next are records of crystals, not part of the piece:
Record 1
Structure and calculated powder XRD pattern of CeTl2Br4 (a crystal structure in Alexandria, relaxed with GGA-PBE; a wavelength of 1.5418 Å).
No peak broadening, texture or thermal motion is included.

Principal peaks in the range 2θ = 15–90°, sorted by position:
2θ = 21.28°, 4.175 Å, I 60.1
2θ = 21.93°, 4.053 Å, I 35.8
2θ = 30.27°, 2.953 Å, I 100.0
2θ = 30.73°, 2.910 Å, I 29.3
2θ = 37.70°, 2.386 Å, I 18.5
2θ = 43.34°, 2.088 Å, I 28.1
2θ = 43.68°, 2.072 Å, I 22.3
2θ = 44.72°, 2.026 Å, I 23.8
2θ = 53.76°, 1.705 Å, I 23.3
2θ = 71.65°, 1.317 Å, I 18.7

Crystal structure
a b c (Å): 5.904 5.904 16.720
angles (deg): 90.00 90.00 90.00
Space group I4/mmm (No. 139)
Asymmetric unit:
1 Ce 0.000 0.000 0.000
2 Tl 0.000 0.000 0.364
3 Br 0.000 0.000 0.175
4 Br 0.000 0.500 0.000

---

Record 2
Structure and calculated powder XRD pattern of CeTlBr5 (a crystal structure in Alexandria, relaxed with GGA-PBE; a wavelength of 1.5418 Å).
No peak broadening, texture or thermal motion is included.

Principal peaks in the range 2θ = 15–90°, sorted by position:
2θ = 15.15°, 5.846 Å, I 83.2
2θ = 18.59°, 4.772 Å, I 100.0
2θ = 29.40°, 3.038 Å, I 28.8
2θ = 30.58°, 2.923 Å, I 27.7
2θ = 31.59°, 2.832 Å, I 72.9
2θ = 34.21°, 2.621 Å, I 27.1
2θ = 36.84°, 2.440 Å, I 30.0
2θ = 37.41°, 2.404 Å, I 29.1
2θ = 37.88°, 2.375 Å, I 27.2
2θ = 43.73°, 2.070 Å, I 36.6

Crystal structure
a b c (Å): 12.829 8.863 11.331
angles (deg): 90.00 114.30 90.00
Space group C2/c (No. 15)
Asymmetric unit:
1 Ce 0.000 0.000 0.000
2 Tl 0.000 0.470 0.250
3 Br 0.000 0.075 0.250
4 Br 0.077 0.293 0.998
5 Br 0.220 0.103 0.623

---

Record 3
Structure and calculated powder XRD pattern of CeYBr6 (a crystal structure in Alexandria, relaxed with GGA-PBE; a wavelength of 1.5418 Å).
No peak broadening, texture or thermal motion is included.

Principal peaks in the range 2θ = 15–90°, sorted by position:
2θ = 16.85°, 5.260 Å, I 58.8
2θ = 23.01°, 3.865 Å, I 20.9
2θ = 28.32°, 3.151 Å, I 100.0
2θ = 37.07°, 2.425 Å, I 59.3
2θ = 43.67°, 2.073 Å, I 41.7
2θ = 48.66°, 1.871 Å, I 21.1
2θ = 52.87°, 1.732 Å, I 16.2
2θ = 58.59°, 1.576 Å, I 15.0
2θ = 73.52°, 1.288 Å, I 17.3
2θ = 75.85°, 1.254 Å, I 13.7

Crystal structure
a b c (Å): 7.1798 7.1798 19.7320
angles (deg): 90.00 90.00 120.00
Space group R-3 (No. 148, hexagonal axes)
Asymmetric unit:
1 Ce 0.0000 0.0000 0.0000
2 Y 0.0000 0.0000 0.5000
3 Br 0.0054 0.3249 0.5816

---

Record 4
Structure and calculated powder XRD pattern of CeZnBr6 (a crystal structure in Alexandria, relaxed with GGA-PBE; a wavelength of 1.5418 Å).
No peak broadening, texture or thermal motion is included.

Principal peaks in the range 2θ = 15–90°, sorted by position:
2θ = 17.41°, 5.094 Å, I 56.4
2θ = 26.06°, 3.419 Å, I 22.2
2θ = 27.76°, 3.213 Å, I 21.9
2θ = 30.59°, 2.922 Å, I 100.0
2θ = 32.35°, 2.767 Å, I 48.3
2θ = 39.37°, 2.289 Å, I 24.8
2θ = 41.51°, 2.175 Å, I 35.4
2θ = 45.12°, 2.009 Å, I 33.4
2θ = 45.13°, 2.009 Å, I 33.6
2θ = 53.60°, 1.710 Å, I 37.0

Crystal structure
a b c (Å): 6.797 13.044 6.797

Complex infrastructures are not always able to be updated due to costs. Additionally, updating a system due to its age it is not always practical if a system is accurately working, and does not pose a threat or compromise to compliance and security. Back in 2014, retailers with POS systems running XP were up against PCI Compliance deadlines.  Many organizations had to update in order to stay compliant. But what about updating to stay secure?

Strategy Needed

With this recent wave of hacking, organizations may not be sure how to react. As we previously discussed, no industry is immune, and surveys are not needed to prove that many organizations are not sure how to proceed or how to secure their infrastructure. But, beginning to look at the big picture, or even taking time to assess the current situation is a start.
Mitigating controls and file Integrity monitoring is a great way to maintain operational continuity without sacrificing security. Knowing what changed is only part of the story though. Advanced FIM solutions like CimTrak give you a deeper dive into changes by not only letting you know exactly what changed, but also other forensic details such as who changed the information, what exactly changed when it was changed, and the process used to change it, or the how. 

To learn more about File Integrity Monitoring, download our Definitive Guide to FIM today.
succeed with file integrity monitoring
Jacqueline von Ogden
Post by Jacqueline von Ogden
April 26, 2017
Since 1999, Jacqueline has written for corporate communications, MarCom agencies, higher education, and worked within the pharmacy, steel and retail industries. Since joining the tech industry, she has found her "home".

About Cimcor

Cimcor’s File Integrity Monitoring solution, CimTrak, helps enterprise IT and security teams secure critical assets and simplify compliance. Easily identify, prohibit, and remediate unknown or unauthorized changes in real-time